The Mutable Aspects

6 min readSep 15, 2018


Back to the Aspect Zodiac

This section was written by OptimisticDuelist (with notes from me).

In the traditional Zodiac, the mutable signs are set apart as changeable, versatile entities — if the Cardinals are “initiators”, and the Fixed signs stubborn and determined “sustainers”, then we could describe Mutables as “perfectors” or “finishers”, who perfect any given task or product of reality.

If we apply this mindset of flexibility and finality to the Mutable Aspects, we see some interesting patterns emerge. Heroes of all four Aspects tend to be relevant in moments of great finality, bringing to a close epochs or chapters of the story. Gamzee is the workhorse that ends the strange-eons-spanning plan to birth Lord English. And it is the karmic task of the Heroes of Hope to defeat Caliborn. Fulfilled by Jake when he defeats Caliborn, marking his end and LE’s beginning..

Jake’s overwhelming Hope power also invokes the story’s DBZ arc, leading to the grand destruction that is [S] Game Over. Similarly, Eridan obliterates the tenuous peace in the Trolls’ lab, ushering in Horrorstuck, and Sollux’s sacrifice ends the story of the Beta Trolls’ session, ushering us definitively out of it. Meenah has her biggest impact at the very end of the Alpha Trolls’ session, stealing all their lives away, and HIC is similarly at her most relevant to Homestuck once troll society comes to an end, at which point she’s contracted to bring about the end of Alpha Earth’s humanity.

All of that could be circumstantial, however. More compelling, I think, is the four Aspects’ shared motif of duality. The Mutable Aspects all exist in binary states, and dramatic shifts seem like an inherent part of each Aspect’s experience.

Doom’s motif of Duality is the most well-trod, with the Captors’ red-blue binaries giving way to the white/black of Yin/Yang seen in the Tumor and Sollux’s Half-Ghost self. Doom is concerned with the underlying rules that constrain reality, the boundaries that determine in what ways things are allowed or not allowed to exist. Alive or Dead. 1 or 0.

To Be or Not To Be. That is the question, because as a result of this focus, Doom is interested in suffering as a state of existence, a common inheritance to all who are alive. One cannot exist while being impervious to the ravages of time and happenstance, and Doom collects all of the negative and painful eventualities a cognizant being will inevitably come across under the umbrella of “Fate”, ie: That Which We Are Doomed to Experience.

This is where the Materialistic/Idealistic division it shares with Hope shines through. Where Doom is concerned with what the individual Knows will happen due to the nature of reality, Hope is concerned with what the individual Thinks will happen due to the nature of their mind. Hope players are explicitly defined by the Zodiac as black-and-white thinkers, a tendency that shines through when we look at their relationships to Belief.

Eridan’s genocidal tendencies are powered by an all-consuming faith in the inherent supremacy of seadwellers. Jake’s forced bravado is driven by a hope that he’ll somehow turn into an action movie star over the course of his adventure. When that hope is lost, the effects are drastic, such as with Jake’s crisis of self-image in late Act 6 — echoing Cronus’ loss in faith in magic.

Crystal structures from another source follow
/*
Starting from a GGA-PBE-relaxed structure, the PXRD pattern of LiMgAgGe was computed for CuKα.
Neutral-atom scattering factors, no anomalous dispersion.

Structural model:
Cell: 4.769 4.769 6.090 Å, 90.00 90.00 90.00°
Space group I-4m2 (No. 119)
Unique sites:
Li 0.000 0.000 0.000 x2
Mg 0.000 0.500 0.750 x2
Ag 0.000 0.500 0.250 x2
Ge 0.000 0.000 0.500 x2

Peak list (10 most intense, 2θ from 5° to 70°, by angle)
(hkl)	2θ/deg	intensity
1 0 1	23.70	100
1 1 0	26.43	10
2 0 0	37.73	57
1 1 2	39.89	97
2 1 1	45.04	35
1 0 3	48.76	14
2 2 0	54.42	19
3 0 1	60.16	7
2 1 3	63.24	12
3 1 2	69.56	35

~~~~~

Starting from a crystal structure in Alexandria, relaxed with GGA-PBE, the X-ray powder pattern of KHg10Au2 was computed for Cu Ka.
Neutral-atom scattering factors, no anomalous dispersion.

The 12 most intense peaks (10° ≤ 2θ ≤ 80°), in order of rising 2θ:
hkl  d/Å  Position (°2θ)  I/Imax
1 3 -1  3.094  28.86  68.9
2 1 -2  2.937  30.43  57.7
1 2 2  2.903  30.80  71.9
2 2 1  2.878  31.08  48.6
2 0 2  2.677  33.47  57.7
2 3 0  2.666  33.62  43.0
0 1 3  2.630  34.09  67.7
1 1 -3  2.600  34.49  87.1
3 1 -1  2.553  35.15  49.5
1 4 -1  2.464  36.47  100.0
1 4 1  2.407  37.36  59.7
3 1 -2  2.314  38.92  42.0

Crystal structure
Cell: 8.031 10.770 8.213 Å, 90.00 97.52 90.00°
Atoms (fractional coordinates):
K 0.077 0.000 0.405
K 0.923 0.500 0.595
Hg 0.049 0.923 0.972
Hg 0.133 0.228 0.736
Hg 0.169 0.320 0.366
Hg 0.221 0.739 0.661
Hg 0.231 0.599 0.306
Hg 0.317 0.480 0.889
Hg 0.320 0.150 0.112
Hg 0.393 0.005 0.771
Hg 0.407 0.780 0.049
Hg 0.491 0.880 0.408
Hg 0.509 0.380 0.592
Hg 0.593 0.280 0.951
Hg 0.607 0.505 0.229
Hg 0.680 0.650 0.888
Hg 0.683 0.980 0.111
Hg 0.769 0.099 0.694
Hg 0.779 0.239 0.339
Hg 0.831 0.820 0.634
Hg 0.867 0.728 0.264
Hg 0.951 0.423 0.028
Au 0.061 0.664 0.970
Au 0.468 0.139 0.457
Au 0.532 0.639 0.543
Au 0.939 0.164 0.030
*/

Finally, where Doom is inclined to accept reality head-on, Hope is more inclined to skew and distort it with it’s own ideas. Doom’s fatalistic cynisim lends itself to a kind of no-nonsense bluntness — Sollux informs his friends of their collective fates straight up, pretty much constantly. Jake sows discord among his friends with his various lies, whether directly spoken or by ommission. Not to mention Hope players’ seemingly endless capacity to lie to themselves.

Note their shared focus on the world/other people, though. Both Aspects are focused on a sense of reactivity to the world around them, whether they’re thinking about their desires for the world/people around them, or their fears of them. It’s just the opposite with Life and Rage.

Both of these Aspects are focused on action, and the impact of the individual on the world around them. Rage’s duality is the clearest: The twin masks of Tragedy and Comedy that inform everything about Gamzee. Where Hope sees a deeply meaningful world of gravitas and legacy to inherit, Rage sees reality as a mere stage for the Hero to perform in.

Contrast the Tragedy of Horrorstuck, with Gamzee at it’s center, against the Comedy of Trickster Mode, with Gamzee always hovering in the background. Gamzee makes us laugh or he makes us scared or he makes us angry, but he always makes us feel *something* through what he’s doing. We’re given very little awareness of the interiority of Gamzee’s actions — for all we know, there might not *be* any. What matters it the performance, and the consequence of each action the actor takes.

Life is just as action-focused, but fittingly it is much more concerned with the ideas behind the action. Broadly put, if the division between Rage’s actions is between the comedic and tragic, then Life’s actions are divided into the Good and the Evil. It’s a division of morality.

The dividing symbols here are the black-white snakes of AURYN — the impulse to protect and preserve vs. the impulse to dominate and destroy.

The Peixes girls also capture this duality, with Feferi’s innate predilection for benevolence and Meenah’s equal inclination for malevolence.

Arrghus’ notes: Thank you, OD. The duality of Life is further captured by Jane, who throughout her story swivels wildly between an intense desire to please her friends to the point of becoming a doormat (when Roxy almost kills her, she wants to apologize, not to mention her everything with Jake), and a suppressed desire for control and dominion that she only lets out once she snaps or gets mind controlled. The desire to please her friends and the desire to claim that which she desires war endlessly inside her. As Bladekindeyewear pointed out long ago, Jane also wields the AURYN itself.

Arrghus’ notes, further: While on the topic of AURYN, and the nature of good and evil, I wish to point out that the thing that ties Life, the AURYN, and the nature of good and evil together is the cherubs, who, as Aranea explains at length, are divided into good and evil, arrange themselves into an AURYN-like symbol during their mating rituals (unlocking limitless power while doing so), and are prominently featured on the sides of that one big clock that measures/determines life and death based on the subject’s morality.

Arrghus’ notes, final: I leave you with one final thought for consideration. Is it just me, or does the Life symbol look an awful lot like a pair of green snake tails now that we have this information?

